Athletics Sports Classes

Athletics Sports Classes

1. Visual Impairment

+++
No. 1
Pm2Sm4HoEr: optimized geometry, PBE-GGA.

Lattice parameters (Å, degrees): 13.7310 13.2321 6.8561 90.00 119.71 90.00
With the nearest neighbours (Å) after each atom.
Space group C2/c (No. 15)
One atom of each set of equivalent atoms:
Pm  0.0000  0.0000  0.0000  6 Sm 3.31-3.63, 2 Pm 3.43
Pm  0.2500  0.2500  0.0000  6 Sm 3.30-3.58, 2 Er 3.43
Sm  0.0127  0.2530  0.0134  1 Ho 3.27, 3 Pm 3.30-3.58, 2 Er 3.31-3.56, 2 Sm 3.43-3.45
Sm  0.2481  0.4974  0.4539  2 Ho 3.28-3.57, 1 Er 3.29, 3 Pm 3.31-3.63, 2 Sm 3.43
Ho  0.0000  0.5000  0.0000  6 Sm 3.27-3.57, 2 Ho 3.43
Er  0.2500  0.2500  0.5000  6 Sm 3.29-3.56, 2 Pm 3.43

Results
VASP energy: -137.19 eV/cell
Total magnetization: 0.000 μB per atom

=====

No. 2
PmSmHo5Er2: optimized geometry, PBE-GGA.

Lattice parameters (Å, degrees): 8.9526 8.9526 14.5322 90.00 90.00 90.00
With the nearest neighbours (Å) after each atom.
Space group I4/mcm (No. 140)
One atom of each set of equivalent atoms:
Pm  0.0000  0.0000  0.2500  10 Ho 3.63-3.66
Sm  0.0000  0.5000  0.2500  4 Ho 3.10
Ho  0.0000  0.0000  0.0000  4 Er 3.61, 2 Pm 3.63, 8 Ho 3.74
Ho  0.2030  0.2970  0.1304  1 Er 3.01, 1 Sm 3.10
Er  0.1122  0.3878  0.5000  1 Er 2.84, 2 Ho 3.01

Results
VASP energy: -155.42 eV/cell
Total magnetization: 0.000 μB per atom

=====

No. 3
PmSmHo2Er5: optimized geometry, PBE-GGA.

Lattice parameters (Å, degrees): 8.8605 8.8605 14.6845 90.00 90.00 90.00
With the nearest neighbours (Å) after each atom.
Space group I4/mcm (No. 140)
One atom of each set of equivalent atoms:
Pm  0.0000  0.0000  0.2500  10 Er 3.63-3.67
Sm  0.0000  0.5000  0.2500  4 Er 3.09
Ho  0.1134  0.3866  0.0000  1 Ho 2.84, 2 Er 3.00
Er  0.0000  0.0000  0.0000  4 Ho 3.57, 2 Pm 3.67, 8 Er 3.73
Er  0.2041  0.2959  0.3680  1 Ho 3.00, 1 Sm 3.09

Results
VASP energy: -155.40 eV/cell
Total magnetization: 0.000 μB per atom

=====

No. 4
PmSm2Ho6Er3: optimized geometry, PBE-GGA.

Lattice parameters (Å, degrees): 6.1476 10.6382 11.7398 90.00 100.01 90.00
With the nearest neighbours (Å) after each atom.
Space group C2/m (No. 12)
One atom of each set of equivalent atoms:
Pm  0.0000  0.0000  0.0000  6 Sm 3.55, 6 Ho 3.57-3.58
Sm  0.0000  0.3333  0.0000  3 Pm 3.55, 3 Sm 3.55, 6 Ho 3.57-3.58
Ho  0.2485  0.0000  0.7465  3 Er 3.51, 6 Ho 3.55, 1 Pm 3.57, 2 Sm 3.58
Ho  0.2483  0.3333  0.7464  3 Er 3.51, 6 Ho 3.55, 2 Sm 3.57-3.58, 1 Pm 3.58
Er  0.0000  0.1666  0.5000  6 Ho 3.51, 6 Er 3.55
Er  0.0000  0.5000  0.5000  6 Ho 3.51, 6 Er 3.55

Results
VASP energy: -110.22 eV/cell
Total magnetization: 0.000 μB per atom

=====

No. 5
Pm4SmHo2Er: optimized geometry, PBE-GGA.

Lattice parameters (Å, degrees): 6.2306 3.6073 11.8807 90.00 100.19 90.00
With the nearest neighbours (Å) after each atom.
Space group P2/m (No. 10)
One atom of each set of equivalent atoms:
Pm  0.2488  0.0000  0.2480  3 Ho 3.57-3.61, 1 Er 3.57, 6 Pm 3.60-3.61, 2 Sm 3.61
Pm  0.2505  0.5000  0.7512  2 Er 3.58, 3 Ho 3.58-3.60, 6 Pm 3.60-3.61, 1 Sm 3.60
Sm  0.5000  0.5000  0.5000  4 Ho 3.60, 6 Pm 3.60-3.61, 2 Sm 3.61
+++

These athletes have a very low visual acuity and/or no light perception. In order to ensure a fair competition, athletes in the T/F 11 sport class are required to wear eyeshades.
Athletes with a T12/F12 sport class have a higher visual acuity than athletes competing in the T11/F11 sport class and/or a visual field of less than five degrees radius.
Athletes with a T13/F13 sport class have the least severe vision impairment eligible for Para athletics. They have the highest visual acuity and/or a visual field of less than 20 degrees radius.

2. Intellectual Impairment

T20 / F20

Athletes in this sport class have an intellectual impairment, which typically leads to the athletes having difficulties with regards to pattern recognition, sequencing, and memory, or having a slower reaction time, which impacts sport performance in general. 
Moreover, the impairment of T/F20 athletes has been proven to have an impact on performance in the different disciplines. For example: 1,500m runners have difficulties in pacing, while in long jump the impairment makes the anticipation of the take- off board more difficult.

3. Ataxia, Athetosis & Hyertonia

Sitting classes: F31, T/F32 to T/F34
Standing classes: T/F35 to T/F38
The 30 sport classes are allocated to athletes with athetosis, ataxia and/or hypertonia – often conditions associated with cerebral palsy or traumatic brain injury. The impairments typically affect the ability to control legs, trunk, arms and/or hand function. The lower the sport class number is, the more significant is the activity limitation.
Athletes in the sport classes T/F31-34 compete in a seated position, e.g. in wheelchair racing or using a throwing chair. By contrast, athletes in the sport classes T/F35-38 have better function in their legs and better trunk control. Therefore, compete standing, e.g. in running events, long jump or throwing events.

4. Short Stature

T/F40 - T/F41

Athletes with short stature compete in the sport classes T/F40-41. There are two classes depending on the body height of the athlete and the proportionality of the upper limbs, with athletes in sport class T/F41 being taller than athletes in sport class T/F 40.

5. Limb Deficiencies

T/F42 to T/F44
The lower limbs are affected by the impairment and the athlete compete without a prosthesis.
T/F61 to T/F64
Primary impairments are in lower limbs and include only limb deficiency and leg length discrepancy. All athletes in these classes compete standing without support and they must use prosthesis.
T/F45 to T47/F46
The upper limbs are affected, for example by above or below elbow amputations.

6. Impaired Muscle Power or Impaired Range of Movement

T51 – T52
Activity limitations in both lower and upper limbs.
Full function in the arms, but similar to classes T51 and 52, do not have trunk function.
Partial to complete trunk function and may demonstrate some leg function.
F51 – F53
Limited shoulder, arm and hand function to different degrees and usually no trunk or leg function. This profile is, for example, seen with athletes with spinal cord injury resulting in tetraplegia.
Normal function in their shoulders, arms and hands, but generally no trunk or leg function.
Partial to full abdominal muscle activity, but no leg function.
Some hip flexion and adductor muscle activity in addition to trunk function, while athletes
Additional ability to extend and abduct the hips. Athletes in this class may be able to stand and ambulate with or without an assistive device but have to at the very least comply with the defined minimum impairment criteria.

(In the 50’s sport class, all athletes compete in a seated position, either in wheelchair or on a throwing chair, due to impaired muscle power, restricted range of movement, limb deficiency or leg length difference. Again, a lower sport class number indicates a relatively greater activity limitation)